**Work order:**
What is needed: search the data below for the word "ntyp" and return each line that has it.
**Excerpt:**
+++
La2TmNpN4: optimized geometry, PBE-GGA. Values from VASP.

Results
For the total moment, the calculation gives 2.47 Bohr magnetons per cell.

Structure (Quantum ESPRESSO input):
```
&SYSTEM
  ibrav = 0, nat = 8, ntyp = 4
/
ATOMIC_SPECIES
La 138.91 La.upf
Tm 168.93 Tm.upf
Np 237.00 Np.upf
N 14.01 N.upf
CELL_PARAMETERS angstrom
6.044 0.000 0.000
0.000 3.544 0.000
-1.977 0.000 5.945
ATOMIC_POSITIONS angstrom
La 0.000 0.000 0.000
La 3.022 1.772 0.000
Tm -0.988 1.772 2.973
Np 2.033 0.000 2.973
N 0.144 0.000 4.212
N 1.057 1.772 1.719
N 3.010 1.772 4.226
N 3.922 0.000 1.733
```



La2NpUN4: optimized geometry, PBE-GGA. Values from VASP.

Results
For the total moment, the calculation gives 3.75 Bohr magnetons per cell.

Structure (Quantum ESPRESSO input):
```
&SYSTEM
  ibrav = 0, nat = 8, ntyp = 4
/
ATOMIC_SPECIES
La 138.91 La.upf
Np 237.00 Np.upf
U 238.03 U.upf
N 14.01 N.upf
CELL_PARAMETERS angstrom
6.133 0.000 0.000
0.000 3.546 0.000
-2.075 0.000 5.922
ATOMIC_POSITIONS angstrom
La 0.000 0.000 0.000
La 3.067 1.773 0.000
Np -1.038 1.773 2.961
U 2.029 0.000 2.961
N 0.031 0.000 4.150
N 1.077 1.773 1.778
N 2.981 1.773 4.144
N 4.027 0.000 1.772
```



La2NpUN5: optimized geometry, PBE-GGA. Values from VASP.

Results
For the total moment, the calculation gives 3.55 Bohr magnetons per cell.

Structure (Quantum ESPRESSO input):
```
&SYSTEM
  ibrav = 0, nat = 9, ntyp = 4
/
ATOMIC_SPECIES
La 138.91 La.upf
Np 237.00 Np.upf
U 238.03 U.upf
N 14.01 N.upf
CELL_PARAMETERS angstrom
4.110 0.000 0.000
0.000 4.110 0.000
0.000 0.000 8.877
ATOMIC_POSITIONS angstrom
La 0.000 0.000 2.047
La 0.000 0.000 6.830
Np 2.055 2.055 0.000
U 2.055 2.055 4.439
N 0.000 0.000 4.439
N 0.000 2.055 0.000
N 2.055 0.000 0.000
N 2.055 2.055 2.411
N 2.055 2.055 6.467
```



LaNp2VN4: optimized geometry, PBE-GGA. Values from VASP.

Results
For the total moment, the calculation gives 14.04 Bohr magnetons per cell.

Structure (Quantum ESPRESSO input):
```
&SYSTEM
  ibrav = 0, nat = 16, ntyp = 4
/
ATOMIC_SPECIES
La 138.91 La.upf
Np 237.00 Np.upf
V 50.94 V.upf
N 14.01 N.upf
CELL_PARAMETERS angstrom
1.711 -5.871 0.000
1.711 5.871 0.000
0.000 0.000 11.697
ATOMIC_POSITIONS angstrom
La 1.711 4.799 8.773
La 1.711 -4.799 2.924
Np 1.711 1.541 6.391
Np 1.711 1.541 11.155
Np 1.711 -1.541 0.543
Np 1.711 -1.541 5.306
V 1.711 3.881 2.924
V 1.711 -3.881 8.773
N 0.000 0.000 0.000
N 0.000 0.000 5.849
N 1.711 2.785 1.390
N 1.711 2.785 4.459
N 1.711 0.869 8.773
N 1.711 -0.869 2.924
N 1.711 -2.785 7.239
N 1.711 -2.785 10.307
```



La2Y3NpN6: optimized geometry, PBE-GGA. Values from VASP.

Results
For the total moment, the calculation gives 2.77 Bohr magnetons per cell.

Structure (Quantum ESPRESSO input):
```
&SYSTEM
  ibrav = 0, nat = 12, ntyp = 4
/
ATOMIC_SPECIES
La 138.91 La.upf
Y 88.91 Y.upf
Np 237.00 Np.upf
N 14.01 N.upf
CELL_PARAMETERS angstrom
3.088 -5.346 0.000
3.088 5.346 0.000
-2.054 0.000 5.781
ATOMIC_POSITIONS angstrom
La 3.088 3.560 0.000
La 3.088 -3.560 0.000
Y -1.027 0.000 2.890
Y 2.061 1.762 2.890
Y 2.061 -1.762 2.890
Np 3.088 0.000 0.000
N 0.084 1.638 4.316
N 1.220 0.000 1.424
N 0.084 -1.638 4.316
N 4.037 1.638 1.465
N 2.901 0.000 4.356
N 4.037 -1.638 1.465
```



La2ZrNpN6: optimized geometry, PBE-GGA. Values from VASP.

Results
For the total moment, the calculation gives 0.00 Bohr magnetons per cell.

Structure (Quantum ESPRESSO input):
```
&SYSTEM
  ibrav = 0, nat = 20, ntyp = 4
/
ATOMIC_SPECIES
La 138.91 La.upf
Zr 91.22 Zr.upf
Np 237.00 Np.upf
N 14.01 N.upf
CELL_PARAMETERS angstrom
5.926 0.000 0.000
0.000 5.898 0.000
-5.892 0.000 8.369
ATOMIC_POSITIONS angstrom
La -0.044 0.168 2.094
La -2.990 2.781 6.278
La 3.024 3.117 2.091
La 0.078 5.730 6.275
Zr 2.963 0.000 0.000
Zr 0.017 2.949 4.184
Np -2.946 0.000 4.184
Np 0.000 2.949 0.000
N -4.625 1.331 7.931
N -1.679 1.618 3.746
N -4.274 4.190 7.965
N -1.329 4.658 3.780
N -2.390 0.117 6.219
N 0.556 2.832 2.034
N -0.522 3.066 6.335
N 2.424 5.782 2.150
N 1.363 1.240 4.589
N 4.309 1.709 0.404
N 1.713 4.281 4.623
N 4.659 4.567 0.438
```
+++
**Solution:**
  ibrav = 0, nat = 8, ntyp = 4
  ibrav = 0, nat = 8, ntyp = 4
  ibrav = 0, nat = 9, ntyp = 4
  ibrav = 0, nat = 16, ntyp = 4
  ibrav = 0, nat = 12, ntyp = 4
  ibrav = 0, nat = 20, ntyp = 4